11-11-2011 03:59 PM
Ok first and foremost I'm a newbie to labview so Im looking for examples and advice on what I'm doing I have had up to core 2 training but with little experience before and after.
My system is a compact rio
Im reading a 4-20 ma transmitter for pressure measurement
I have solenoids to control a pump and bleed isolation valve
after the bleed isolation valve I have a 4-20 ma autoclave metering valve
Analog input 4-20 ma transmitter
analog out 4-20 metering valve
digital out pump on/off
digital out bleed ISO valve
I want to create a pid to control the pressure when I bleed off at a given bleed rate in psi a min
I already have a pressure control system that works great for pumping up the system and adjusting the pressure on the fly but need a pid to control bleeding of the system at the given rate and when I'm bleeding I don't want the pump to kick back on to compensate for over shooting the setpoint.
I have attached my vi for pressure control
in order for the metering valve to see pressure the the bleed valve must be open.
So if you guys could help me with creating a pid to control the metering valve I would appreciate it
11-11-2011 06:03 PM
There are many, many examples on this forum showing how to use PID to control a digital output by generating a PWM signal that turns the output on or off following a square wave. See here, for example, as one starting point.
11-14-2011 10:46 AM
BUt im using an analog output its is a metering valve that controls the flow rate using an electric motor with 11 turns
11-14-2011 11:44 AM
@cbt wrote:
BUt im using an analog output its is a metering valve that controls the flow rate using an electric motor with 11 turns
Even easier, then! Do you have the LabVIEW PID toolkit, or are you looking for help writing a PID algorithm?
11-14-2011 12:14 PM
yes sir thats what im looking for just to control the rate of pressure drop typical rate drop of 500 to 1000 psi a minute really need pid because of the volume of the parts being tested change from test to test.
[Next to the article, the page also holds crystal structures]
'''
[1]
The following is a theoretical powder diffraction line list of Re2S2NCl11. It was derived from a DFT-relaxed cell (GGA-PBE, the Materials Project), using CuKα.
Kinematic intensities with the Lorentz-polarization factor, no thermal factor.

Principal peaks in the range 10° ≤ 2θ ≤ 80°, by angle:
d_spacing, two_theta, I_rel
7.929, 11.16, 52
6.682, 13.25, 25
6.353, 13.94, 88
5.765, 15.37, 100
5.698, 15.55, 43
4.173, 21.29, 16
3.972, 22.38, 16
3.207, 27.81, 14
2.911, 30.71, 19
2.100, 43.08, 19

Atomic structure:
abc: 9.148 9.148 11.951
angles: 101.87 101.87 93.85
Atoms (fractional coordinates):
Re: 0.076 0.729 0.781
Re: 0.271 0.924 0.719
Re: 0.729 0.076 0.281
Re: 0.924 0.271 0.219
S: 0.246 0.602 0.126
S: 0.398 0.754 0.374
S: 0.602 0.246 0.626
S: 0.754 0.398 0.874
N: 0.295 0.705 0.250
N: 0.705 0.295 0.750
Cl: 0.012 0.221 0.048
Cl: 0.024 0.976 0.750
Cl: 0.130 0.494 0.811
Cl: 0.162 0.367 0.329
Cl: 0.169 0.673 0.602
Cl: 0.221 0.012 0.548
Cl: 0.327 0.831 0.898
Cl: 0.367 0.162 0.829
Cl: 0.386 0.442 0.103
Cl: 0.442 0.386 0.603
Cl: 0.494 0.130 0.311
Cl: 0.506 0.870 0.689
Cl: 0.558 0.614 0.397
Cl: 0.614 0.558 0.897
Cl: 0.633 0.838 0.171
Cl: 0.673 0.169 0.102
Cl: 0.779 0.988 0.452
Cl: 0.831 0.327 0.398
Cl: 0.838 0.633 0.671
Cl: 0.870 0.506 0.189
Cl: 0.976 0.024 0.250
Cl: 0.988 0.779 0.952

=====

[2]
The following is a theoretical powder diffraction line list of SbS2NCl6. It was derived from a DFT-relaxed cell (GGA-PBE, the Materials Project), using CuKα.
Kinematic intensities with the Lorentz-polarization factor, no thermal factor.

Principal peaks in the range 10° ≤ 2θ ≤ 80°, by angle:
d_spacing, two_theta, I_rel
6.286, 14.09, 81
5.843, 15.16, 58
5.439, 16.30, 91
4.903, 18.09, 56
4.095, 21.70, 29
3.641, 24.45, 64
2.921, 30.60, 100
2.630, 34.09, 49
2.330, 38.64, 38
1.816, 50.25, 48

Atomic structure:
abc: 7.351 7.351 7.351
angles: 120.68 112.30 96.33
Atoms (fractional coordinates):
Sb: 0.000 0.000 0.000
S: 0.317 0.500 0.817
S: 0.683 0.500 0.183
N: 0.500 0.500 0.000
Cl: 0.173 0.410 0.237
Cl: 0.173 0.936 0.763
Cl: 0.294 0.000 0.294
Cl: 0.706 0.000 0.706
Cl: 0.827 0.064 0.237
Cl: 0.827 0.590 0.763

=====

[3]
The following is a theoretical powder diffraction line list of SbS2NCl8. It was derived from a DFT-relaxed cell (GGA-PBE, the Materials Project), using CuKα.
Kinematic intensities with the Lorentz-polarization factor, no thermal factor.

Principal peaks in the range 10° ≤ 2θ ≤ 80°, by angle:
d_spacing, two_theta, I_rel
6.733, 13.15, 100
6.442, 13.75, 37
6.087, 14.55, 83
5.858, 15.12, 74
5.257, 16.86, 75
4.221, 21.05, 39
3.221, 27.70, 43
3.168, 28.17, 33
2.756, 32.49, 34
2.743, 32.65, 35

Atomic structure:
abc: 7.795 11.716 16.632
angles: 90.00 98.38 90.00
Atoms (fractional coordinates):
Sb: 0.246 0.200 0.347
Sb: 0.246 0.300 0.847
Sb: 0.754 0.700 0.153
Sb: 0.754 0.800 0.653
S: 0.200 0.721 0.518
S: 0.200 0.779 0.018
S: 0.283 0.716 0.853
S: 0.283 0.784 0.353
S: 0.717 0.216 0.647
S: 0.717 0.284 0.147
S: 0.800 0.221 0.982
S: 0.800 0.279 0.482
'''
[So much for the crystal structures]
11-14-2011 12:18 PM
@cbt wrote:
yes sir thats what im looking for just to control the rate of pressure drop typical rate drop of 500 to 1000 psi a minute really need pid because of the volume of the parts being tested change from test to test.
I'm still not clear what you need. Do you have the LabVIEW PID toolkit? If not, have you searched this forum for implementations of a PID loop? You're not the first person to ask, so there's probably one out there. Once you have a PID VI, insert it into your code, test, experiment, and post again with your code attached if you run into problems or have questions.
11-14-2011 12:40 PM
Ive created a pid before to bleed release the pressure and it does fine but I need it to drop the pressure over a given time period basically I need to give a rate to lower the pressure over a minute. I will post some code soon
11-14-2011 01:25 PM
I have attached my vi Im thinking the control of the bleed valve before the pid is not a good idea now.
I need to control the rate the pressure drops over a given time the current code just drops to the setpoint and closes the bleed valve take a look.
11-14-2011 01:31 PM
@cbt wrote:
I have attached my vi Im thinking the control of the bleed valve before the pid is not a good idea now.
I need to control the rate the pressure drops over a given time the current code just drops to the setpoint and closes the bleed valve take a look.
What's the point of the two while loops? You only need one.
You need to ramp the setpoint. You'll need at least one shift register in the while loop to keep track of the current setpoint, and then you'll need to adjust it on each loop iteration.
11-14-2011 01:34 PM
could you show me by modifying mine?